Listing.
=====
First-principles (PBE-GGA) data for crystalline LiTl2Cr2 at its relaxed geometry, as listed in the Alexandria database.

Calculated values
- energy of formation (eV/atom) = 0.53
- relative energy among the computed polymorphs (meV per atom) = 0
- space-group type = P4/mbm
- calculated volume (A^3/atom) = 19.08

Unit cell a=7.738 b=7.738 c=3.186 alpha=90.00 beta=90.00 gamma=90.00
Element x y z (fractional)
Cr (0.414, 0.914, 0.000)
Cr (0.914, 0.586, 0.000)
Cr (0.586, 0.086, 0.000)
Cr (0.086, 0.414, 0.000)
Tl (0.203, 0.703, 0.500)
Tl (0.703, 0.797, 0.500)
Tl (0.797, 0.297, 0.500)
Tl (0.297, 0.203, 0.500)
Li (0.000, 0.000, 0.000)
Li (0.500, 0.500, 0.000)

* * * * *

DFT (GGA+U) results for crystalline CsLiV2O6 at its relaxed geometry.
=====
Assignment.
Duplicate only the last part of the entries above, starting with the line that has "c=3.186 alpha=90.00".
Worked solution.
Unit cell a=7.738 b=7.738 c=3.186 alpha=90.00 beta=90.00 gamma=90.00
Element x y z (fractional)
Cr (0.414, 0.914, 0.000)
Cr (0.914, 0.586, 0.000)
Cr (0.586, 0.086, 0.000)
Cr (0.086, 0.414, 0.000)
Tl (0.203, 0.703, 0.500)
Tl (0.703, 0.797, 0.500)
Tl (0.797, 0.297, 0.500)
Tl (0.297, 0.203, 0.500)
Li (0.000, 0.000, 0.000)
Li (0.500, 0.500, 0.000)

* * * * *

DFT (GGA+U) results for crystalline CsLiV2O6 at its relaxed geometry.